Wanted:
Reproduce the data underneath verbatim, please.
Contents:
/*
{"formula": "CFN3O8S", "method": "the ωB97M-V functional and the def2-TZVPD basis", "lumo_ev": [-2.7, -5.0], "mol_weight_g_mol": 233.1, "e_tot_ha": -1301.8627, "charge": 0, "elements": ["C", "N", "N", "N", "O", "O", "O", "O", "O", "O", "O", "O", "F", "S"], "xyz": [[1.203, 1.105, -0.107], [-0.057, 0.550, 0.072], [2.136, 0.124, -0.677], [1.547, 2.443, -0.397], [-1.065, 1.204, 0.217], [-0.073, -0.669, 0.240], [3.242, 0.141, -0.269], [1.677, -0.643, -1.428], [2.578, 2.624, -0.975], [0.738, 3.271, -0.111], [-2.585, -2.410, 2.242], [-3.729, -1.550, 0.153], [-2.851, -3.847, 0.191], [-2.761, -2.343, 0.848]], "mulliken_charge": [0.1283, 0.9158, 1.0360, 1.0047, -0.5111, -0.5199, -0.5114, -0.5093, -0.5185, -0.5066, -0.3801, -0.3884, -0.2077, 0.9684]}

~~~~~

C26H51F9IN3O3 | wB97M-V/def2-TZVPD

Structure (XYZ):
```
93
Properties=species:S:1:pos:R:3:forces:R:3:mulliken_charge:R:1
C 1.62856 0.27464 -5.94375 0.062 0.032 -0.223 -0.552
O 1.55314 -0.18086 -7.29301 -0.062 0.018 0.037 -0.419
C 0.94867 0.71752 -8.17025 -0.130 0.015 0.142 -0.570
C 1.92659 1.67252 -8.82076 -0.264 0.273 -0.337 0.651
O 1.76579 2.16941 -9.89545 0.256 -0.206 0.098 -0.554
O 3.02395 1.92552 -8.03641 0.221 -0.317 0.209 -0.034
C 4.25344 2.03668 -8.68845 0.123 0.192 -0.087 -1.407
I 5.55380 0.42831 -8.10833 -0.108 0.074 0.003 0.110
C 4.90166 3.42986 -8.48101 0.110 -0.039 -0.331 1.254
F 6.01798 3.41050 -7.71766 -0.344 -0.014 -0.031 -0.267
F 5.28335 3.85234 -9.72239 0.021 -0.056 0.323 -0.341
C 3.98618 4.57839 -7.94167 0.060 0.129 -0.011 0.334
F 4.75446 5.69031 -7.99420 -0.117 -0.229 -0.007 -0.300
F 2.95995 4.73243 -8.80066 0.130 -0.023 0.170 -0.260
C 3.37132 4.54099 -6.48537 -0.078 0.288 0.025 0.820
F 2.12902 4.01935 -6.51902 0.266 -0.047 -0.030 -0.248
F 3.25801 5.82927 -6.08531 -0.098 -0.229 -0.125 -0.291
C 4.16633 3.83538 -5.35652 -0.119 0.116 -0.059 0.497
F 5.34284 4.42233 -5.18991 0.175 0.030 -0.042 -0.260
F 4.34638 2.54230 -5.60354 0.028 -0.125 -0.142 -0.126
F 3.47194 3.94979 -4.22876 -0.107 -0.008 0.158 -0.274
H 2.49112 -0.21612 -5.49779 -0.068 0.007 0.092 0.282
H 0.71830 0.00935 -5.40182 -0.008 -0.022 0.044 0.369
H 1.77649 1.35623 -5.90669 0.036 -0.038 0.084 0.100
H 0.15442 1.31025 -7.69895 0.021 0.014 0.045 0.276
H 0.48620 0.16996 -8.99211 0.048 -0.055 0.034 0.383
H 4.13189 1.89704 -9.75930 -0.071 0.201 0.004 0.816
C 0.69151 -2.86645 -0.75012 0.025 -0.003 0.029 -1.680
C 0.79521 -1.34927 -0.77831 -0.026 -0.074 0.063 0.073
N -0.03465 -0.73859 -1.80121 0.034 0.020 -0.080 0.286
C 0.27355 0.66074 -2.02838 0.098 0.159 -0.087 -0.689
C 0.03422 1.65464 -0.88432 -0.021 0.051 -0.046 -0.933
C -1.44588 -1.08463 -1.75116 -0.123 -0.138 0.013 -0.861
C -2.19735 -0.78430 -0.45002 -0.087 0.047 -0.014 -0.608
H 0.89553 -3.28655 -1.73573 -0.030 0.012 -0.017 0.365
H 1.42224 -3.27137 -0.04875 0.001 -0.001 0.008 0.466
H -0.29255 -3.20622 -0.42551 -0.005 0.000 -0.005 0.300
H 1.83166 -1.07642 -0.99570 -0.008 0.070 -0.008 0.523
H 0.57992 -0.96199 0.23184 0.019 -0.005 -0.005 -0.143
H -0.28213 0.99488 -2.90977 -0.064 -0.045 0.018 0.326
H 1.33026 0.71714 -2.31142 0.017 -0.056 0.047 0.377
H -1.02490 1.85857 -0.73258 -0.004 -0.044 0.043 0.264
H 0.51398 2.60638 -1.12120 0.013 -0.006 -0.006 0.461
H 0.45691 1.30144 0.05760 0.004 -0.019 0.002 0.042
H -1.53893 -2.15257 -1.96253 0.064 -0.010 0.030 0.402
H -1.94645 -0.58888 -2.58659 0.065 0.086 0.005 0.379
H -1.62344 -1.09590 0.42432 -0.018 -0.013 0.016 -0.033
H -3.14537 -1.32509 -0.42868 0.012 -0.018 -0.021 0.452
H -2.42846 0.27479 -0.34503 0.051 0.007 0.061 0.235
C -1.36420 0.75438 3.23796 -0.039 0.060 -0.063 -0.570
C -0.40508 0.91231 4.40618 -0.042 0.001 -0.107 -0.661
N 0.29922 -0.31840 4.71304 0.067 -0.042 0.099 0.675
C 0.99009 -0.28762 5.98930 -0.012 -0.005 0.160 -0.849
C 2.14892 0.70139 6.16345 0.037 -0.054 0.037 -1.267
C 1.02599 -0.92369 3.60988 -0.039 -0.070 -0.186 -0.614
C 2.10472 -0.08748 2.90855 0.040 -0.075 -0.014 -1.115
H -2.05133 -0.07721 3.40734 0.034 -0.032 0.008 -0.073
H -1.95530 1.66234 3.11083 0.012 0.012 0.002 0.559
*/
Done:
{"formula": "CFN3O8S", "method": "the ωB97M-V functional and the def2-TZVPD basis", "lumo_ev": [-2.7, -5.0], "mol_weight_g_mol": 233.1, "e_tot_ha": -1301.8627, "charge": 0, "elements": ["C", "N", "N", "N", "O", "O", "O", "O", "O", "O", "O", "O", "F", "S"], "xyz": [[1.203, 1.105, -0.107], [-0.057, 0.550, 0.072], [2.136, 0.124, -0.677], [1.547, 2.443, -0.397], [-1.065, 1.204, 0.217], [-0.073, -0.669, 0.240], [3.242, 0.141, -0.269], [1.677, -0.643, -1.428], [2.578, 2.624, -0.975], [0.738, 3.271, -0.111], [-2.585, -2.410, 2.242], [-3.729, -1.550, 0.153], [-2.851, -3.847, 0.191], [-2.761, -2.343, 0.848]], "mulliken_charge": [0.1283, 0.9158, 1.0360, 1.0047, -0.5111, -0.5199, -0.5114, -0.5093, -0.5185, -0.5066, -0.3801, -0.3884, -0.2077, 0.9684]}

~~~~~

C26H51F9IN3O3 | wB97M-V/def2-TZVPD

Structure (XYZ):
```
93
Properties=species:S:1:pos:R:3:forces:R:3:mulliken_charge:R:1
C 1.62856 0.27464 -5.94375 0.062 0.032 -0.223 -0.552
O 1.55314 -0.18086 -7.29301 -0.062 0.018 0.037 -0.419
C 0.94867 0.71752 -8.17025 -0.130 0.015 0.142 -0.570
C 1.92659 1.67252 -8.82076 -0.264 0.273 -0.337 0.651
O 1.76579 2.16941 -9.89545 0.256 -0.206 0.098 -0.554
O 3.02395 1.92552 -8.03641 0.221 -0.317 0.209 -0.034
C 4.25344 2.03668 -8.68845 0.123 0.192 -0.087 -1.407
I 5.55380 0.42831 -8.10833 -0.108 0.074 0.003 0.110
C 4.90166 3.42986 -8.48101 0.110 -0.039 -0.331 1.254
F 6.01798 3.41050 -7.71766 -0.344 -0.014 -0.031 -0.267
F 5.28335 3.85234 -9.72239 0.021 -0.056 0.323 -0.341
C 3.98618 4.57839 -7.94167 0.060 0.129 -0.011 0.334
F 4.75446 5.69031 -7.99420 -0.117 -0.229 -0.007 -0.300
F 2.95995 4.73243 -8.80066 0.130 -0.023 0.170 -0.260
C 3.37132 4.54099 -6.48537 -0.078 0.288 0.025 0.820
F 2.12902 4.01935 -6.51902 0.266 -0.047 -0.030 -0.248
F 3.25801 5.82927 -6.08531 -0.098 -0.229 -0.125 -0.291
C 4.16633 3.83538 -5.35652 -0.119 0.116 -0.059 0.497
F 5.34284 4.42233 -5.18991 0.175 0.030 -0.042 -0.260
F 4.34638 2.54230 -5.60354 0.028 -0.125 -0.142 -0.126
F 3.47194 3.94979 -4.22876 -0.107 -0.008 0.158 -0.274
H 2.49112 -0.21612 -5.49779 -0.068 0.007 0.092 0.282
H 0.71830 0.00935 -5.40182 -0.008 -0.022 0.044 0.369
H 1.77649 1.35623 -5.90669 0.036 -0.038 0.084 0.100
H 0.15442 1.31025 -7.69895 0.021 0.014 0.045 0.276
H 0.48620 0.16996 -8.99211 0.048 -0.055 0.034 0.383
H 4.13189 1.89704 -9.75930 -0.071 0.201 0.004 0.816
C 0.69151 -2.86645 -0.75012 0.025 -0.003 0.029 -1.680
C 0.79521 -1.34927 -0.77831 -0.026 -0.074 0.063 0.073
N -0.03465 -0.73859 -1.80121 0.034 0.020 -0.080 0.286
C 0.27355 0.66074 -2.02838 0.098 0.159 -0.087 -0.689
C 0.03422 1.65464 -0.88432 -0.021 0.051 -0.046 -0.933
C -1.44588 -1.08463 -1.75116 -0.123 -0.138 0.013 -0.861
C -2.19735 -0.78430 -0.45002 -0.087 0.047 -0.014 -0.608
H 0.89553 -3.28655 -1.73573 -0.030 0.012 -0.017 0.365
H 1.42224 -3.27137 -0.04875 0.001 -0.001 0.008 0.466
H -0.29255 -3.20622 -0.42551 -0.005 0.000 -0.005 0.300
H 1.83166 -1.07642 -0.99570 -0.008 0.070 -0.008 0.523
H 0.57992 -0.96199 0.23184 0.019 -0.005 -0.005 -0.143
H -0.28213 0.99488 -2.90977 -0.064 -0.045 0.018 0.326
H 1.33026 0.71714 -2.31142 0.017 -0.056 0.047 0.377
H -1.02490 1.85857 -0.73258 -0.004 -0.044 0.043 0.264
H 0.51398 2.60638 -1.12120 0.013 -0.006 -0.006 0.461
H 0.45691 1.30144 0.05760 0.004 -0.019 0.002 0.042
H -1.53893 -2.15257 -1.96253 0.064 -0.010 0.030 0.402
H -1.94645 -0.58888 -2.58659 0.065 0.086 0.005 0.379
H -1.62344 -1.09590 0.42432 -0.018 -0.013 0.016 -0.033
H -3.14537 -1.32509 -0.42868 0.012 -0.018 -0.021 0.452
H -2.42846 0.27479 -0.34503 0.051 0.007 0.061 0.235
C -1.36420 0.75438 3.23796 -0.039 0.060 -0.063 -0.570
C -0.40508 0.91231 4.40618 -0.042 0.001 -0.107 -0.661
N 0.29922 -0.31840 4.71304 0.067 -0.042 0.099 0.675
C 0.99009 -0.28762 5.98930 -0.012 -0.005 0.160 -0.849
C 2.14892 0.70139 6.16345 0.037 -0.054 0.037 -1.267
C 1.02599 -0.92369 3.60988 -0.039 -0.070 -0.186 -0.614
C 2.10472 -0.08748 2.90855 0.040 -0.075 -0.014 -1.115
H -2.05133 -0.07721 3.40734 0.034 -0.032 0.008 -0.073
H -1.95530 1.66234 3.11083 0.012 0.012 0.002 0.559